Discharge information for GP: post sleeve

Information sheet to patients and general practitioners after laparoscopic sleeve gastrectomy

Please forward this to your GP as well.


The proposed mechanism:

The sleeve gastrectomy works in three ways by reducing the size of the stomach (volume restriction to prevent over eating), reduce hunger stimulus (reduces craving for food and the constant need to snack) and help maintain post-prandial satiation longer (gives patient better satisfaction after meals and decrease the need to eat repetitively), which is known as the neuro-endocrine brake effect (action on the central brain via the entero-insular axis).

The sleeve gastrectomy via the distal gut hormone (GLP-1) may exert an incretin effect on the pancreas, which helps people with Type 2 diabetes mellitus to improve their glycemic control, reduce medication use (oral hypoglycemic tablets or insulin), temporary halt the progression of diabetes or even induce remission of diabetes for some.

The sleeve is also considered to be a metabolic surgery, where the body will readjust to a lower body weight and reset this to be the new baseline. Hopefully this lower body weight set point will result in less hunger drive and a higher metabolic rate to achieve sustained weight loss in the future.

Hence with the reduction in food consumption and achieving negative energy balance, patients will gradually lose excess body weight over the 6-12 months after surgery.

Equally as important are the less tangible benefits, which includes better education/understanding of nutrition (allowing patients to make good food choices in controlled portions) and improved long-term post-operative eating habits (minimize compulsive or binge eating behaviour and snacking). Greatest success after the sleeve gastrectomy is achieved amongst the group of patients who eats large portion of food and snacks frequently, less success with emotional eating.

The key points are that surgery is a tool to assist patients to lose excess body weight, visceral fat, reduce chronic inflammation, cardio-vascular risk and the risk for metabolic syndrome and causing a complete behavior, eating habits and lifestyle change.

  • Bariatric surgery results in appetite suppression (satiety) as well as helping people feel full with small meals (satiation).
  • Emphasis on controlled or good food portions
  • Good food choices
  • Good eating habits
  • Eating healthy (metabolically active) foods
  • Plenty of aerobic exercises are encouraged
  • Escape from food addictions (especially sweets, soft drinks, alcohols) and correct eating disorders




Diet advice after surgery

For the first 2 weeks patients are advised to continue with oral fluids (such as vegetable soup, fruit juice, Gatorade or Powerade drinks) as well as the protein supplemental drinks (VLCD shakes) or Nutribullet drinks.

  • The very low calorie diet (VLCD) is usually commenced 2 weeks before bariatric surgery and is continued for a month after surgery (during the transition period). These shakes provide the protein that is required as well as the necessary vitamins and minerals.

For the second 2 weeks, commence on soft puree foods (puree vegetables, yoghurts, custards).

Then 2 weeks after that (or a month after the initial surgery), solid meals are introduced if there are no nausea or vomiting. Most patients will start with soft-boiled eggs, steam fish, boiled chicken without the skin or minced meat.

Ultimately the aim is to have a regular meal schedule and 3 small meals a day. Remember to eat slowly (over 30 minutes), stop eating when feeling full and drink fluids at least 30 minutes after meals. This will reduce the discomfort sensation, reduce regurgitation or vomiting and in the long term prevent stretching of the sleeved remnant, which may result in loss of restriction.

The daily protein intake should be 1g/kg ideal body weight per day, hence for most people it is 60g protein a day.

The non-calorie fluid (water or non caffeinated beverages) intake should be between 1.5 to 2 litres a day.

In the long term patients are encouraged to have “healthy” fresh fruits and vegetables, beans, nuts, steamed fish, lean meat. The thermogenic effect of these healthy foods will help to maintain an active metabolic rate.  Patients are encouraged to avoid the “lazy” foods, especially carbs, sweets, fatty/oily foods and the processed/refined food.

Also having a consistent level of low impact aerobic physical activity and exercise regularly is important to preserve lean body muscle mass, uphold a consistent basal metabolic rate, which in turn will assist in further weight loss, truncal fat loss and body contour. This may help reduce the excess skin folds after massive weight loss.



Early post op problems

The most serious complications of a sleeve gastrectomy are staple line dehiscence, leaks with distal gastric stricture and intra-abdominal infections. Leaks usually occur within the first week of surgery and you will need to go back to hospital for urgent investigation and management. Corrective procedures with endoscopy or more surgery might be needed.

It is expected that patients will feel very tired and dehydrated especially in the first 2 to 4 weeks after surgery. This is mainly because there is limited caloric intake and dehydration as a result of reduced oral consumption. Some patients take 2 weeks off work to recover and remember to stay away from the hot environment (long periods of sun exposure in summer).

Some patients will experience chest discomfort (oesophageal spasm), regurgitation, nausea, vomiting, abdominal and pain in the first month. This is because of the sleeve gastrectomy, a much smaller residual stomach size causing a reduced capacity to store food. Prophylactic medications (e.g. Nexium and Maxolon) may be taken for the reflux and nausea symptoms.

Some patients develop temporary food intolerance after a sleeve gastrectomy, especially to sweet drinks and lactose or dairy products. Avoiding the high GI index foods or drinks may help alleviate early dumping syndrome.

The entry is interrupted by molecular data:
+++
Entry 1:
C3H4OS | ωB97M-V/def2-TZVPD

Geometry as XYZ:
```
9
C3H4OS ωB97M-V/def2-TZVPD
H 2.92 -0.25 0.51
S -1.75 0.02 -0.03
C 1.89 -0.07 -0.07
H 0.92 1.99 -0.62
H 0.77 1.15 1.33
H 2.35 0.31 -1.28
C -0.16 -0.05 -0.07
C 0.81 1.05 0.13
O 0.73 -1.13 0.07
```



Entry 2:
C2H7IN2 | ωB97M-V/def2-TZVPD

Geometry as XYZ:
```
12
C2H7IN2 ωB97M-V/def2-TZVPD
H -0.13 -1.50 -0.91
N -1.03 -0.29 0.91
H -0.43 1.57 1.55
C -0.24 -1.81 0.15
H -0.54 1.38 -1.14
H 0.87 2.32 -0.13
H -1.09 -2.56 0.49
N -0.26 0.78 0.89
H 0.79 -2.03 0.59
H 1.02 0.67 -0.88
I -3.01 -0.01 -0.03
C 0.28 1.35 -0.33
```



Entry 3:
C28H77F6N7NaO7P | ωB97M-V/def2-TZVPD

Geometry as XYZ:
```
127
C28H77F6N7NaO7P ωB97M-V/def2-TZVPD
H -1.56 1.73 3.40
H 1.12 1.42 -1.51
H 3.25 4.61 -5.87
H 2.18 2.90 0.62
H -0.80 5.21 0.11
C 3.47 -0.59 1.50
F 0.48 -2.11 0.45
H 0.08 6.72 0.06
H -3.30 -0.13 4.54
H -5.23 2.74 -1.85
C 2.07 0.38 -3.76
C 1.31 4.88 0.34
H 5.84 0.40 5.62
O 1.01 3.47 2.27
H -1.67 -4.89 -0.40
H -1.50 3.06 -6.01
H 1.22 5.58 -1.60
H 1.09 2.99 -4.71
H -1.40 -4.11 -2.96
H -1.47 2.99 6.63
H -2.50 3.24 3.18
H 6.32 1.81 4.94
H 4.14 0.38 3.80
H 0.09 1.83 -2.72
H 1.19 0.35 -4.41
N -3.74 1.46 1.61
H 3.16 -6.74 5.47
H 3.77 3.42 -7.05
H -4.02 0.56 -5.45
C -2.49 2.25 3.64
C 1.53 2.33 2.91
H 2.13 5.46 0.76
C -1.93 2.07 -5.86
C 3.02 3.62 -6.30
C -3.60 1.37 3.07
H 1.16 1.40 2.48
C -3.46 -0.11 3.46
H -1.95 -2.38 -4.88
N -5.58 0.38 -3.18
H 1.26 2.39 3.97
H -1.61 -6.37 -1.33
H 4.71 -1.23 3.58
H 2.03 3.78 -6.75
N 1.62 4.79 -1.10
H 2.95 -5.85 3.94
H -2.82 1.38 1.17
H 1.22 3.97 -1.56
N 6.48 0.81 4.95
H 0.18 -3.01 4.41
H 2.99 2.05 -2.54
F -0.74 -0.42 1.20
O 4.75 -0.09 1.87
C -3.66 1.13 -4.58
H -2.42 -5.31 -3.82
C 1.02 -3.21 3.73
H 2.54 -0.11 1.81
H -6.32 0.72 -2.59
H 7.46 -1.28 2.44
H 2.51 -7.55 4.08
F 0.97 0.00 -0.22
C 2.09 2.89 -4.28
H -2.64 -0.61 2.95
H -4.40 -0.61 3.24
C 7.39 -0.89 3.46
N 0.98 2.04 -2.30
H -0.04 -6.60 3.65
H 2.63 2.34 2.92
C -4.41 2.50 -2.53
H -2.16 4.20 5.71
C 0.04 5.75 0.55
H -3.97 2.44 1.44
H -0.78 3.24 4.99
H -0.22 -5.30 1.48
H 8.36 -0.48 3.73
O -2.93 2.30 -4.88
H -2.23 -2.16 -2.54
O 3.01 2.64 -5.31
H -3.63 -1.95 -5.20
C -3.34 -3.37 -3.57
H -5.56 2.04 -4.27
H 1.99 -0.34 -2.94
H -3.70 -1.43 -2.98
H 2.95 0.14 -4.35
O -2.57 2.22 5.07
C 2.13 1.82 -3.17
C 4.92 -0.20 3.28
C 6.34 0.21 3.63
C 0.78 -4.59 3.15
H -3.55 2.00 -2.07
H 6.68 0.96 2.90
H -0.54 -5.35 4.68
H 7.23 -1.72 4.15
H -3.99 3.41 -2.96
C 1.26 3.44 0.87
H -4.37 -3.71 -3.65
F -1.65 -1.88 -0.24
H -2.98 0.42 -4.09
H 3.48 -0.65 0.41
H -2.23 1.70 -6.84
H -1.14 1.51 -5.34
N -0.20 -4.48 2.06
C 0.34 -5.69 4.13
C -1.69 3.22 5.58
H -5.82 -0.34 -3.83
P -0.33 -0.92 -0.31
H 0.05 -3.74 1.42
H 0.51 2.82 0.36
Na -3.88 -2.96 -0.20
C -2.96 -2.77 -4.96
H 2.28 3.84 -3.77
C 2.51 -6.59 4.61
O 1.29 -6.08 5.10
H -3.09 -3.61 -5.65
H 1.96 -3.12 4.26
H -0.11 5.92 1.62
F -0.09 -1.51 -1.79
H -2.97 -6.13 -0.26
H -4.55 1.61 3.55
H 1.72 -4.93 2.69
N -3.25 -2.25 -2.60
O -3.06 -4.96 -1.92
H 0.87 -2.39 3.02
C -2.30 -5.60 -0.94
C -4.80 1.54 -3.64
C -2.42 -4.48 -3.11
+++

Constipation is expected because there is no solid food being consumed in the first 2 weeks after surgery. Benefiber, plenty of oral fluids and stool softener (e.g. Movicol) may be taken if necessary.

Some patients may have pre-existing gallstones, kidney stones or irritable bowel syndrome and these symptoms may get worse after a period of fasting or rapid weight loss with diet restriction. Appropriate dietary advice is needed. Please ask your surgeon or general practitioner for advice.




Post op referrals to allied health

Please get a referral from your surgeon or general practitioner to see a dietician or exercise physiologist. This may be a part of your health care plan.

Due to the degree of fatigue and dehydration, strenuous exercise and gym/physical training usually is commenced 1 month after surgery.

Nowadays with the social media, patients usually form a very cohesive and supportive network amongst themselves but be careful what you read on the web. Individual results may vary and you may not experience the same degree of weight loss success, hence please consult the relevant specialist when problems do arise.  Encouragement and support from family and your local general practitioner is vital or a referral to a psychologist can be made if necessary.

Follow up plans


A referral to a dietician and exercise physiologist is strongly recommended. The GP usually refers patients in their local area and this is part of the health care plan. Please select a dietician who is part of ANZMOSS (Australia and New Zealand Metabolic and Obesity Surgery Society) whenever possible.

Follow up with the surgeon is recommended for the first 6-12 months. However due to various limitations (geographical location and time), follow up can be done over the phone or emails. If there are any concerns or problems, follow up must be done in person.


Post op supplements and blood test

The VLCD provides most of the vitamins and trace mineral supplements in the peri-operative period.

Unlike a gastric bypass, after a sleeve some patients only take the vitamin/mineral supplements for 3 to 6 months post op. After that if the blood tests are normal, sometimes the GP may discontinue the supplements.

Some patients will need to take extra multi-vitamins long term, especially if there are pre-existing micronutrient deficiencies. For examples some female patients who are already iron and vitamin D deficient before bariatric surgery will need to continue with these specific supplements after surgery.

The vitamin supplements can be purchased from the chemist or local supermarket, in the form of chewable or dissolvable vitamins. The supplements that are necessary are usually supplements of iron, folic acid, calcium, vitamin D, vitamin B1, B12, zinc, magnesium, chromium and selenium.

Blood tests are usually done twice a year as part of any routine medical check up. Especially for iron, folate, B12 levels, calcium and vitamin D, zinc.

If there are concerns regarding low serum calcium, then sometimes a bone scan can be ordered, especially for peri-menopausal women to exclude reduced bone mineral density or osteoporosis (DEXA usually every 5 years).

For severe deficiencies, iron infusions, intra muscular injections of vitamin B12 or vitamin D can be given. This is more likely to be required after a gastric bypass, less likely after a sleeve gastrectomy.




You should have a pre-op blood test, which usually include
FBE, ELFT, TFT, random blood glucose, fasting cholesterol/triglyceride, iron, folate, B1, B12, zinc, calcium and Vitamin D

Vitamin or mineral deficiencies need to be corrected before surgery

For patients low on vitamin D, some sunlight exposure is beneficial to boost up the vitamin D levels.

Post-op blood test usually include

FBE, ELFT, TFT, random blood glucose, fasting cholesterol/triglyceride, iron, folate, A, B1, B12, zinc, calcium, Vitamin D and PTH (if necessary).


Protein intake

The recommended daily protein is about 1 to 1.5g protein per kg ideal body weight

·      For a sleeve patient, the average is about 70g protein a day

·      For a gastric bypass patient, the average is about 70-100g protein per day

Vitamin and trace minerals

You are recommended to have multi-vitamin supplements, example include the BN chewable multi-vitamins.

·      Deficiencies in calcium and vitamin D needs to be corrected to prevent secondary hyperparathyroidism, reduction in bone mineral densities, osteopenia or osteoporosis in the long term.

·      Deficiencies in vitamin A, B1, B12 need to be corrected

·      Deficiencies in folate (especially for pregnant mothers) needs to be corrected

·      Deficiencies in minerals (iron, copper, magnesium, zinc, selenium, etc) need to be corrected


Duration of vitamin and mineral supplements

Unlike a gastric bypass, after a sleeve some patients only take the vitamin/mineral supplements for 3 to 6 months post op. After that if the blood tests are normal, sometimes the GP may discontinue the supplements.

Some patients may elect to remain on the supplements for longer period of time after a sleeve.

But after a gastric bypass, patients need to take multivitamin and mineral supplements for life. Blood tests need to be done at least 2 to 4 times a year and iron infusion or IM injections of vitamin B12 or D can be given if necessary.

For patients who are pregnant please seek special advice from your GP, obstetrician and dietitians.


Long-term results after bariatric surgery

Remember the aim is over 50% excess weight loss (%EWL) in the long term. Usually in the first year the %EWL may be over 65% but usually 2 or 3 years after surgery, there will be some weight regain. Hence the desired outcome should be 50% EWL in the long term.

Adherence to post op dietary guidelines and having a regular exercise program or physical training increases the successful long-term outcomes.

Unfortunately there will be some failures and some patients will have limited weight loss results. Weight loss failure are often multifactorial, the result of many causes such as age, genetics, physiology (lower basal metabolic rate), side effects of medications (diabetic, epileptic or anti-depression medications as well as prednisolone), lack of exercise or physical training. In the long-term weight loss can’t depend on restriction alone, instead the lifestyle changes and behavior modifications is the driving force behind good eating habits and weight loss maintenance. Poor results are often due to return of food addictions or if other problems are not addressed (especially with emotional eating and eating disorders) surgery have its limitations.

The key point is that emphasis should be on improving eating habits, behavior and lifestyle rather than on surgery or restriction alone. Some patients believe that the dysphagia, vomiting or bulimia symptom is a marker of success for weight loss surgery (akin to the gastric band surgery) but there is nothing further from the truth. Without a permanent change to eating habits or any behavior modification, weight re-gain and poor patient satisfaction is often the unwelcomed result.




  • The aim of bariatric surgery is to reduce excess weight, obesity related co-morbidities, reduce body fat, improving physical and psycho-social health.
  • Surgery combined with dietary changes produces better results.
  • Surgery combined with dietary changes and regular physical activities produces the best result.






Extra information

For more information please browse through the website www.drvictorliew.com (also click on the links).

Please research the “bariatric food pyramid”, images freely available from Google.

Other useful websites:

BOMSS (British Obesity and Metabolic Surgery Society)


Please email victorliew@live.com.au with any queries.